Submit a Workshop

School’s Out Washington is no longer accepting proposals for workshop presenters and facilitators for the 2024 Bridge Conference.
When: November 4-5, 2024
Where: Greater Tacoma Convention Center & Marriott Tacoma Downtown
Thank you for your interest in presenting at School’s Out Washington’s 2024 Bridge Conference! Our goal is to bring together presenters and participants of different identities, perspectives, and backgrounds from the expanded learning opportunities field. We welcome and encourage people who speak multiple languages to participate.
We plan to provide a balanced, diverse program including a majority of presenters identifying as Black, Indigenous, and/or People of Color (BIPOC) and workshops from across Washington state, and an array of topics for attendees with different roles and levels of experience and expertise to choose from. As an organization we are exploring ways to break down barriers around language and are open to multilingual opportunities. English grammar is not part of our selection criteria. We are seeking proposals that offer a high quality and compelling workshop (e.g. clarity of title, description, style and delivery), conference alignment and relevance (with theme and event learning objectives), and racial equity alignment.
This year’s theme is Moments to Movements. We are looking for workshop proposals that help leaders and youth within programs and systems to:
- Understand stages of child and adolescent development (including what we know now that we didn’t know 5-10 years ago), and how to apply this knowledge to programs and systems.
- Align employee, program, and organizational practices with values.
- Cultivate community care for youth and youth workers.
- Incorporate practices that support our humanity, from how to heal and manage grief to how to celebrate and play together.
- Lead an individual, organization, or system through transformational change.
- Create or grow new programs in collaboration with others, within an environment of support.
- Communicate about the strengths of the expanded learning opportunities field and the critical role we play in supporting youth and families to policy makers, government agencies, and the public.
- Reflect on our biases while learning and unlearning how to create more holistic and supportive environments for young people.
We look forward to reviewing your proposal and thank you for your commitment to the field!
Frequently Asked Questions
Q: What is the process for submitting a Workshop Proposal?
The list below is designed to support you through the RFP application process. We recommend following the steps outlined below:
- Review the Frequently Asked Questions below.
- Review the PDF of the Workshop Proposal Form before completing the form.
- Sign up for SOWA emails to receive announcements
- If you would like support with the RFP application or workshop development, please make an appointment for RFP Application/Workshop Development via this booking form..
Q: What are some important dates in the proposal process?
- The Request for Workshop Proposals is being released on May 1, 2024.
- The deadline for proposal submissions is July 12, 2024.
- All applicants will be notified of the status of their proposal by Friday, August 23, 2024.
- If selected to present, you will be required to confirm your plans to present by September 6, 2024.
- If selected, we require all presenters to attend a virtual Presenter Orientation Meeting on the week of Oct 8th-12th
- The Bridge Conference will take place November 4th and 5th at Greater Tacoma Convention Center and Marriott Tacoma Downtown in Tacoma, WA.
Q: What are some benefits of presenting at the Bridge Conference?
- Share your expertise with leaders in the expanded learning opportunity field from Washington state and beyond
- Opportunity for professional development via our offer up to 2 complimentary registration (value of $600) to each presenting team selected through the RFP.
- Promotion of your session and organization through social media and our public-facing conference agenda on Sched
- Share your contact information with attendees who may be interested in inviting you to share your expertise with their own organizations
- Receive workshop survey feedback to support your development as a presenter, with the potential for a testimonial
- Opportunity to join our list of potential trainers for paid contracts with School’s Out Washington
Q: How can I prepare a workshop that aligns with the Bridge Conference?
Please review the event description and learning objectives.
2024 Bridge Conference: Moments to Movements
SOWA’s annual Bridge Conference brings together youth program professionals, community leaders and organizers, funders, and policymakers from across the country.
Many of our attendees work in grassroots youth programs with limited resources. For those attendees, Bridge serves as an important connection to the broader youth development field, relationship building, and knowledge to help them sustain and grow their impact.
Reflected in all aspects of Bridge are the values of equity, belonging, leadership, nourishment, change, innovation, and community. Our conference actively centers diverse BIPOC (Black, Indigenous, and People of Color) voices and youth program providers throughout the event and planning process. In 2022, 64% of attendees identified as BIPOC, and represented a diverse range of urban, suburban, and rural-based programs.
When gathered, our attendees and presenters work toward a collective vision of more equitable systems for young people that includes community care, best practices, and advocacy.
We gather to:
- Learn how to implement tangible practices that promote high-quality programs and an equitable expanded learning ecosystem
- Identify and address the ways that racial inequities impact youth, expanded learning opportunities, and educational outcomes
- Highlight strengths and inequities in programs and systems and begin to strategize how to co-create stronger partnerships across sectors.
- Experience belonging and personal/professional nourishment through social connection and networking.
Q: What is this year’s Bridge theme?
Moments to Movements
Transformation lies at the core of our shared mission as youth providers. We are all committed to nurturing and facilitating opportunities that pave the way for significant moments of change for young people and the communities we serve. Acknowledging the profound impact of these pivotal moments, this year’s Bridge Conference theme, “Moments to Movements” encourages us to explore the transformative power embedded in these experiences.
At this year’s conference we will center:
- Community Building: Our conference emphasizes fostering a supportive community within the youth development field through networking and collaborative sessions.
- Collective Action: We’re dedicated to promoting collective action and collaboration among stakeholders to drive positive change and advancement.
- Advocating for Legislative Change: By mobilizing efforts to influence policy, we aim to create a more supportive and equitable environment for youth development initiatives.
- Skills & Resources Empowerment: Attendees will gain essential skills and resources to support youth effectively, through workshops and resource-sharing platforms.
Join us as we navigate the intricate interplay between individual experiences, collective movements, and the overarching landscape of youth development. Together we will uncover strategies to cultivate, amplify, and harness these moments to catalyze a ripple effect of positive change.
Q: What are examples of past workshop titles and descriptions?
Q: What are examples of topics that would fit into each of the Conference Strands?
- Race and Equity: While we are seeking sessions across all focus areas that incorporate race and equity, this focus area is especially for sessions where topics of race and/or equity are the main content area. Examples include the intersections of race and _____ (e.g. class, disabilities, access to food and housing, adultism, racial literacy, white privilege, structural racism, social justice, or sex, gender, gender identity, or supporting specific populations such as immigrant and refugee youth and families).
- Youth Development Programming: What do high-quality out of school time programs for youth, especially low-income youth, and youth of color, look like? What practices, curriculum, and environments will provide the opportunities youth deserve in order to thrive? Examples include cultural responsiveness, social and emotional learning, trauma-informed and restorative practices, STEM, sense of belonging, relationships, identity development, creativity, safety and wellness, youth leadership and engagement, and program development.
- Capacity and Systems Building: What does it look like to invest in our staff and our field? How do we strengthen the formal systems (policies, institutional practices, and funding) and the informal and cultural systems (communities of practice, beliefs, and youth and family voice) to advance equity? Examples include practice and policy change that promote racial equity within organizations; staff and volunteer development; leadership and management practices; grant writing; workforce development; advocacy; research and evaluation; assessment, planning, and improvement; and connections between family, school, and community.
- Emerging Issues: What does the future of youth development look like? Reflecting on the past couple of years and looking to the future, what are some topics our field should prioritize to meet the needs of youth? Examples include mental health, deepening investment in racial equity conversations and actions, youth activism, creative or restorative justice, and identity development for adults.
- Multi-Sector Partnerships & Collaboration: How can we build enduring partnerships in youth development and education? Which types of partnerships, and the way their members collaborate, can help create a more equitable and expansive learning environment? There are various examples, such as sharing power in cross-sector partnerships, managing the effects of turnover within relationships, developing genuine partnerships with youth and families, applying community-centric fundraising principles, and seeking funding for cross-sector collaborations.
Q: What times are available to present a workshop?
When submitting a proposal, we will ask you to indicate which days you are available to present at the conference. Because there are a limited number of workshops in each Period, your availability may influence our decision-making as we finalize our menu of workshops. All sessions are 90 minutes.
- Monday, November 4, 10:30am – 12:00pm. PST
- Monday, November 4, 1:15pm – 2:45pm PST
- Monday, 3:00pm – 4:30pm PST
- Tuesday, November 5, 9:00am – 10:30am PST
- Tuesday, November 5, 10:45am – 12:15pmPST
Q: How many people can I expect in my session and what will the room layout be?
The maximum number of people per room will vary, from about 32 to 80. We cannot estimate exactly how many people to expect in your assigned room, as so many factors influence how many people choose each session. Rooms may be set up with round tables, school room or theatre style.
Q: What is the workshop selection criteria?
SOWA will prioritize the following criteria in the workshop selection process: high quality and compelling workshop (e.g. clarity of title, description, style and delivery), conference alignment and relevance (with event learning objectives), racial equity alignment, and providing a balanced, diverse program including a majority of presenters identifying as Black, Indigenous, and/or People of Color (BIPOC) and workshops from across Washington state, and an array of topics for attendees with different roles and levels of experience and expertise to choose from. English grammar is not part of our criteria.
Q: What are SOWA’s expectations of Presenters?
Required Presenter Orientation: If selected, all presenters are required to attend the Presenter Orientation meeting via Zoom on one of the following days/times:
- 10/08/24, 4:30pm-6:00pm PST
Records of crystals that have nothing to do with the page.
-- begin --
# MgVCr2Fe3P6O24

An optimized crystal structure of MgVCr2Fe3P6O24 (GGA+U, the Materials Project database).

a = 8.663 Å, b = 8.663 Å, c = 8.739 Å
α = 91.82°, β = 117.74°, γ = 119.87°
Space group P1 (No. 1)
Symmetry-distinct sites (fractional):
1 Mg 0.000 0.000 0.000 [1 per cell]
2 V 0.963 0.517 0.476 [1 per cell]
3 Cr 0.250 0.372 0.616 [1 per cell]
4 Cr 0.271 0.869 0.132 [1 per cell]
5 Fe 0.524 0.234 0.757 [1 per cell]
6 Fe 0.557 0.721 0.274 [1 per cell]
7 Fe 0.758 0.123 0.871 [1 per cell]
8 P 0.051 0.910 0.376 [1 per cell]
9 P 0.056 0.430 0.169 [1 per cell]
10 P 0.457 0.816 0.872 [1 per cell]
11 P 0.475 0.321 0.093 [1 per cell]
12 P 0.751 0.618 0.662 [1 per cell]
13 P 0.769 0.121 0.575 [1 per cell]
14 O 0.056 0.256 0.120 [1 per cell]
15 O 0.074 0.761 0.458 [1 per cell]
16 O 0.078 0.451 0.356 [1 per cell]
17 O 0.103 0.918 0.228 [1 per cell]
18 O 0.215 0.108 0.536 [1 per cell]
19 O 0.239 0.620 0.188 [1 per cell]
20 O 0.277 0.626 0.705 [1 per cell]
21 O 0.312 0.123 0.082 [1 per cell]
22 O 0.428 0.802 0.033 [1 per cell]
23 O 0.442 0.469 0.140 [1 per cell]
24 O 0.445 0.313 0.903 [1 per cell]
25 O 0.451 0.984 0.816 [1 per cell]
26 O 0.561 0.456 0.670 [1 per cell]
27 O 0.603 0.959 0.390 [1 per cell]
28 O 0.648 0.178 0.624 [1 per cell]
29 O 0.651 0.688 0.513 [1 per cell]
30 O 0.677 0.868 0.922 [1 per cell]
31 O 0.701 0.375 0.243 [1 per cell]
32 O 0.828 0.863 0.295 [1 per cell]
33 O 0.839 0.381 0.003 [1 per cell]
34 O 0.853 0.535 0.610 [1 per cell]
35 O 0.888 0.076 0.742 [1 per cell]
36 O 0.931 0.768 0.852 [1 per cell]
37 O 0.942 0.288 0.555 [1 per cell]

Computed properties:
distance to the lowest polymorph of the same formula: 2.22 eV per formula unit
calculated volume: 473 Å³/f.u.
ΔE_f: -2414 meV/atom
VASP energy: -267.00 eV for the cell shown
-- stop --
- 10/10/24, 10am-11:30am PST
Room Host & Pre-Workshop Check-In: Presenters must arrive 30 minutes prior to their workshop start time, check in at registration, and check in with the room host at the assigned room at least 20 minutes prior to session start time.
Complimentary Registration: We encourage you to attend the rest of the Bridge Conference and offer 1 complimentary registration (value of $550) to each presenting team selected through the RFP. Co- presenters are welcome to purchase a ticket if they wish to attend. If you are selected, you will receive information about how to register as a presenter and we strongly encourage you to register at that time in order to reserve your spot.
Products: We encourage you to share free resources, tools, curriculum, etc. in your workshop session. If you are interested in promoting a product or service that is not free or widely available to the public, we offer you the opportunity to become a sponsor or exhibitor for Bridge. Please see our current Bridge website for more information.
Photos & Video: School’s Out Washington may take photos and video of the 2024 Bridge Conference, including speakers, attendees, and other activities to use in marketing and other materials. Conference attendees waive any rights and any claims regarding the taking and publishing of such photos, video, etc.
Important Dates & Timeline:
- The deadline for proposal submissions is July 12, 2024.
- All applicants will be notified of the status of their proposal by August 24, 2024.
- If selected to present, you will be required to confirm your plans to present September 6, 2024.
Q: Who can I reach out to if I have more questions?
If you have specific questions related to the workshop proposal, please email our team at or visit our current Bridge website for more information.
Q: How do I apply and what questions do you ask in the Workshop Proposal form?
First, please view this PDF to review the full list of the questions we ask in the Proposal form. Then, complete the Proposal form by July 12, 2024.